

While dental bridges are a standard restorative procedure, many of our patients have questions about this approach. The Dental Associates Near Me team aims to provide our patients with access to high-quality dentistry that fits their needs and budget. We believe that a dental bridge offers an optimal solution for individuals in need of a replacement tooth!


Alabama Dental Bridges

Dental bridges are one of the most convenient and cost-effective methods of replacing one or several missing teeth. Many patients believe that the only reason to replace a missing tooth is for aesthetic purposes. This, however, is not the case! By replacing your missing tooth or teeth, you protect the surrounding teeth from additional decay or damage.


Additionally, replacing a missing tooth with a dental bridge restores optimal function to your smile. This allows you to speak clearly, eat freely, and live without the potential problems that a gap in your teeth may cause.


Understanding the Dental Bridge Procedure

Someone pasted molecular data at this point:
Record 1
{"formula": "C12H16BCrN5O", "method": "ωB97M-V/def2-TZVPD", "energy_ha": -1885.1919, "e_above_lowest_kcal_mol": 25.4, "multiplicity": 6, "lumo_energy_ev": [3.2, 3.1], "gap_ha": [0.1776, 0.2856], "total_charge": -1, "symbols": ["Cr", "O", "N", "N", "N", "N", "N", "C", "C", "C", "C", "C", "C", "C", "C", "C", "C", "C", "C", "B", "H", "H", "H", "H", "H", "H", "H", "H", "H", "H", "H", "H", "H", "H", "H", "H"], "xyz": [[-1.72207, -0.63084, -0.06263], [-1.65052, 0.91616, 1.13496], [-0.84297, -1.99156, 1.31270], [-0.14558, 0.03906, -1.34013], [0.44554, -2.26846, 1.01421], [1.02712, -0.57987, -1.05774], [-0.83958, 1.99461, 0.95333], [2.01026, 0.00050, -1.76086], [0.12605, 1.00408, -2.20855], [0.88379, 4.00898, 0.06689], [1.36778, 2.83293, 0.69772], [-0.51595, 4.09509, -0.11746], [-0.05649, -3.44081, 2.83236], [1.48528, 1.02714, -2.52033], [0.93156, -3.13443, 1.91461], [-1.14813, -2.68483, 2.40165], [0.52253, 1.85480, 1.11947], [-2.66770, -2.02092, -1.36944], [-1.34910, 3.10335, 0.30663], [1.32191, -1.91285, -0.26713], [0.83066, 0.93484, 1.59306], [3.01892, -0.36284, -1.65849], [-2.13565, -2.59473, 2.82513], [1.95104, -3.47049, 1.82555], [0.01133, -4.09850, 3.68070], [2.00983, 1.70296, -3.17166], [-2.42263, 3.10829, 0.20186], [-0.66642, 1.65625, -2.53947], [2.42738, 2.67599, 0.85705], [-0.96920, 4.95349, -0.59891], [1.55171, 4.77280, -0.30078], [1.26417, -2.85238, -1.03111], [2.44309, -1.76942, 0.17127], [-1.91788, -2.70377, -1.79023], [-3.14643, -1.51676, -2.22181], [-3.43364, -2.64784, -0.89242]]}

---

Record 2
{"formula": "C4H13NOS", "method": "ωB97M-V/def2-TZVPD", "energy_ha": -688.3717, "smiles": "CSCCCN.O", "e_above_lowest_kcal_mol": 10.7, "lumo_energy_ev": 0.8, "gap_ha": 0.3440, "total_charge": 0, "symbols": ["S", "O", "N", "C", "C", "C", "C", "H", "H", "H", "H", "H", "H", "H", "H", "H", "H", "H", "H", "H"], "xyz": [[1.30855, -1.66865, -1.69180], [-2.65577, 0.64169, 1.12217], [0.10160, 0.99329, 2.06187], [-0.21561, -1.83677, -2.65571], [0.57288, -0.86881, -0.20526], [0.60415, 0.67597, -0.31055], [1.09000, 1.27946, 0.99180], [-0.91927, -2.35437, -2.03776], [1.26923, 0.95081, -1.12697], [-2.97081, 1.43425, 1.52709], [0.18281, 0.02498, 2.35206], [0.29214, 1.57645, 2.86713], [1.17381, -1.18119, 0.64585], [-0.39441, -1.33617, -0.11330], [-0.58807, -0.88210, -3.00197], [2.04387, 0.81800, 1.26807], [1.21094, 2.35694, 1.01557], [-0.39896, 1.07151, -0.47024], [-0.00845, -2.39173, -3.56921], [-1.69862, 0.69646, 1.33114]]}

~~~~~

The molecule C4H4N2O2 at a distorted geometry, computed with ωB97M-V with the def2-TZVPD basis set.

Results
- E (a.u.) = -414.72300
- HOMO energy (eV) = -7.97
- max |F| (eV/Å) = 3.61
- lowest unoccupied orbital energy (eV) = 0.1
- energy relative to the best compared isomer or geometry (same formula, charge and spin) (kcal/mol) = 77.3
- SMILES = O=CC1=CNN=CO1

Last column: Mulliken charge in e.
Geometry (Å):
O (0.93708, -2.83307, 0.02197)  -0.511
C (1.28422, -1.67981, 0.22959)  -0.084
C (0.43578, -0.46023, 0.00108)  0.225

At Dental Associates Near Me, we value education and honesty. We are committed to taking the time necessary to answer any questions our patients may have regarding their dental care! By understanding the dental bridge procedure before your appointment, you can minimize any anxiety or uncertainty you may otherwise experience.


The first step in the dental bridge procedure is, of course, a thorough consultation with your dental care provider. During this appointment, we will assess the condition of the surrounding teeth, assessing whether a dental bridge is the best option for your situation.


If we determine that you are a candidate for a dental bridge, we will discuss the various types of bridges and the type of material you would like to use for your bridge. Most patients opt for porcelain or zirconia bridges as these have a more natural appearance when compared to traditional metal bridges.


Your dental team will advise you on the benefits and disadvantages of the various types of dental bridges, helping you arrive at a decision that fits both your needs and your budget. Your dentist will also take impressions of your gums and teeth to design a bridge that is both comfortable and natural in appearance.

........
No. 1
Molecular formula: C11H8BiCl2LuN2O3Se
Method: DFT, ωB97M-V/def2-TZVPD

Element x y z (Å)
C: 2.18984 -0.29119 -1.63603
H: -4.00878 0.65066 -0.95954
C: -4.26838 -1.54055 -0.98960
C: 6.12669 1.00146 -0.00862
C: -3.70407 -2.78563 -0.69818
O: 2.02443 -1.44427 -1.65780
Cl: 4.52839 -1.41941 0.51864
C: -2.45808 -2.84912 -0.04615
H: -2.79418 2.07257 -0.18636
H: 0.12456 -2.00855 1.19778
H: -1.91711 -3.77512 0.12842
Lu: 3.96640 0.90583 1.14987
O: 7.05382 1.04576 -0.68028
Cl: 4.31671 2.05686 3.22341
C: -1.85990 -1.66507 0.36392
Se: 1.08685 1.01152 1.51499
H: -1.09925 2.40553 -0.65955
H: -1.56424 2.49722 1.06705
C: 4.74072 3.05090 0.39760
C: -1.75040 1.97405 0.11754
C: -0.35599 -0.00946 0.81520
C: -2.43039 -0.45288 0.03618
N: -1.48103 0.53982 0.30022
O: 5.20193 4.08828 0.27399
H: -5.22876 -1.52374 -1.50119
N: -0.55242 -1.35985 0.80658
H: -4.20973 -3.72369 -1.00200
C: -3.61869 -0.33276 -0.67511
Bi: 1.94107 1.88086 -1.21098

Energy above the lowest of the compared OMol25 structures with the same formula, charge and spin in kcal per mole: 10.8
Gap between HOMO and LUMO (spin up / spin down) in eV: 4.47 / 4.94
Charge: +4

***

No. 2
Molecular formula: C11H8BrMnN2O3
Method: DFT, ωB97M-V/def2-TZVPD

Element x y z (Å)
O: -0.63680 -3.54937 -2.61695
C: -1.90905 1.95148 3.22545
O: -1.47655 -1.74502 -1.57302
H: -2.70135 3.44695 1.86884
N: -1.19839 0.55806 0.94440
H: -0.42777 -0.90580 2.18099
C: -1.81709 1.73785 0.89838
C: -1.26148 0.71489 3.31608
N: 0.79590 -0.51735 -1.57533
O: -2.27936 2.66395 4.28483
C: 1.96915 -2.25985 -2.70675
H: 3.98541 0.37014 -2.01810
C: -0.92324 0.05459 2.15913
C: -0.50651 -2.46057 -2.13549
H: -2.05465 2.21771 5.11037
H: 4.04806 -1.88291 -3.08550
C: 0.82089 -1.73220 -2.15073
C: -2.20014 2.49642 1.96732
H: -1.03009 0.27511 4.27642
H: 1.92052 -3.24227 -3.15471
C: 3.10099 -0.24820 -2.06697
C: 1.91327 0.21533 -1.53309
C: 3.12883 -1.50256 -2.66129
Mn: -0.99407 -0.08745 -0.97332
H: 1.84065 1.18858 -1.06499
Br: -2.10712 2.24250 -0.91598

Gap between HOMO and LUMO (spin up / spin down) in eV: 9.07 / 8.64
Charge: +1
2S+1: 2

***

No. 3
Molecular formula: C11H8CeCl2DyN2O3Se
Method: DFT, ωB97M-V/def2-TZVPD

Element x y z (Å)
O: -1.17010 -2.58686 0.58774
C: -1.00887 0.78076 3.40801
N: -1.11769 1.50218 2.22630
Ce: -0.08993 -0.43751 -1.45029
H: -2.17203 -0.23757 6.36740
C: -1.49779 -0.12673 5.51120
C: -0.73170 -1.74107 -0.21789
O: -0.81794 1.20590 -12.03442
Cl: -0.67571 2.53704 -8.30172
H: 2.93917 0.26440 2.57449
C: -0.26064 -0.79437 5.50897
C: -1.87682 0.67544 4.43649
C: -0.51209 0.90315 -10.97726
Dy: -0.01968 0.45267 -9.07696
H: 0.02050 -1.41989 6.36281
C: 0.21935 0.12335 3.39974
C: 2.19610 -0.05496 1.82463
C: 0.61764 -0.66842 4.43037
O: 0.72917 -2.39007 -10.17623
H: 1.58037 -1.17788 4.41491
C: 0.03316 1.27921 1.51500
Cl: 2.02719 -1.69792 -1.65337
N: 0.86209 0.44574 2.20608
Se: 0.35825 2.01440 -0.05462
H: -1.91624 2.09279 1.95252
H: 2.17620 -1.15499 1.77094
........


>On the day of your dental bridge appointment, your dental team will prepare the surrounding teeth. The dental bridge will then be attached to your teeth using a safe and durable bonding material. Upon completion of the procedure, you will leave the office with a dental bridge that is properly aligned, comfortable, and natural in appearance.


Find a Dental Bridge Specialist in Alabama

At Dental Associates Near Me, we are proud to offer our patients 8 locations conveniently located throughout Alabama. Our dental professionals are highly experienced and trained to provide exceptional dental care. In addition to specializing in dental bridges, we offer a wide variety of other restorative dental procedures.


With care for the entire family, you can be sure that your dental needs are our priority! Are you interested in learning more about our dental bridge procedure? Contact us today for more information!